## Data
'''
# C19H64O13

13 unconnected molecules or ions with the total composition C19H64O13 (ωB97M-V/def2-TZVPD, the Open Molecules 2025 dataset).

Element x y z (Å)
C1 0.25 3.74 -2.78
C2 1.01 2.47 -3.15
O1 0.21 1.32 -2.98
H1 -0.77 3.63 -3.14
H2 0.62 4.63 -3.29
H3 0.18 3.95 -1.71
H4 1.93 2.37 -2.56
H5 1.29 2.44 -4.20
H6 0.62 0.53 -3.34
C3 2.25 -1.34 -5.32
C4 1.76 -2.16 -4.10
O2 1.34 -1.28 -3.06
H7 3.18 -0.82 -5.08
H8 1.52 -0.64 -5.73
H9 2.42 -1.99 -6.18
H10 2.65 -2.70 -3.79
H11 1.00 -2.89 -4.37
H12 1.24 -1.85 -2.29
C5 -2.19 -2.75 0.51
C6 -2.17 -3.88 -0.52
O3 -3.42 -3.98 -1.18
H13 -1.37 -2.91 1.22
H14 -3.09 -2.81 1.12
H15 -2.00 -1.76 0.11
H16 -2.00 -4.89 -0.18
H17 -1.44 -3.60 -1.28
H18 -3.61 -3.20 -1.70
C7 1.12 -5.18 -1.77
C8 2.06 -4.26 -1.00
O4 1.55 -2.99 -0.83
H19 1.59 -6.11 -2.10
H20 0.78 -4.73 -2.70
H21 0.29 -5.45 -1.11
H22 3.07 -4.15 -1.39
H23 2.17 -4.59 0.03
H24 1.47 -2.75 0.09
C9 -2.35 -1.24 4.90
C10 -1.01 -0.71 4.28
O5 -0.36 -1.81 3.65
H25 -2.17 -2.11 5.53
H26 -3.08 -1.56 4.16
H27 -2.84 -0.53 5.58
H28 -0.31 -0.31 5.01
H29 -1.18 0.07 3.54
H30 -0.03 -2.37 4.36
C11 -3.73 0.67 1.77
C12 -4.20 1.95 2.49
O6 -3.30 2.34 3.52
H31 -3.75 -0.22 2.41
H32 -2.70 0.75 1.41
H33 -4.45 0.46 0.98
H34 -5.21 1.80 2.88
H35 -4.36 2.77 1.79
H36 -2.43 2.42 3.11
C13 2.59 -2.96 2.60
O7 1.53 -2.39 1.83
H37 3.18 -2.16 3.05
H38 2.31 -3.65 3.40
H39 3.17 -3.58 1.91
H40 1.02 -1.86 2.44
C14 -3.57 1.72 -2.50
O8 -4.39 1.00 -3.36
H41 -3.57 2.75 -2.86
H42 -4.04 1.72 -1.52
H43 -2.59 1.28 -2.41
H44 -4.98 1.61 -3.81
C15 0.29 3.51 2.43
O9 -0.84 2.64 2.26
H45 0.45 4.18 1.59
H46 0.26 4.07 3.37
H47 1.21 2.93 2.55
H48 -0.77 2.20 1.41
C16 -2.33 4.63 0.09
O10 -1.37 5.52 -0.35
H49 -3.31 5.08 -0.06
H50 -2.26 3.72 -0.50
H51 -2.17 4.42 1.15
H52 -1.07 6.15 0.31
C17 0.09 0.25 0.05
O11 -0.63 1.41 -0.24
H53 1.14 0.49 -0.17
H54 -0.05 -0.07 1.08
H55 -0.13 -0.62 -0.57
H56 -0.51 1.62 -1.17
C18 4.44 -0.72 0.05
O12 5.34 0.06 0.83
H57 3.38 -0.45 0.11
H58 4.72 -0.72 -1.00
H59 4.53 -1.78 0.31
H60 6.08 -0.46 1.16
C19 3.89 3.00 0.93
O13 5.02 2.68 0.24
H61 3.00 2.54 0.52
H62 4.04 2.65 1.95
H63 3.76 4.08 0.95
H64 5.11 1.73 0.35

Output
- Energy relative to the best compared isomer or geometry (same formula, charge and spin): 25.5 kcal/mol
- Orbital gap: 9.778 eV
- Energy: -47354.04823 eV
- Maximum force: 0.0470 Eh/bohr
- Net charge: 0

=====

# C19H66B2NO37

A molecular structure, C19H66B2NO37 (ωB97M-V/def2-TZVPD, the Open Molecules 2025 dataset).

Element x y z (Å)
C1 2.61 -1.39 1.97
C2 1.25 -2.12 1.58
C3 0.13 -1.25 0.99
C4 0.55 -0.54 -0.34
N1 -0.48 0.22 -1.13
C5 -1.30 0.98 -0.26
C6 -2.67 1.20 -1.03
C7 -2.97 -0.21 -1.42
C8 -1.57 -0.73 -1.70
C9 0.12 1.03 -2.17
C10 1.25 0.22 -2.90
C11 1.90 1.03 -4.11
H1 3.35 -2.09 2.47
H2 2.12 -0.43 2.63
H3 3.14 -1.12 1.18
H4 0.93 -2.67 2.40
H5 1.62 -2.92 0.84
H6 -0.15 -0.55 1.74
H7 -0.77 -1.92 0.80
H8 1.09 -1.41 -0.86
H9 1.20 0.10 -0.28
H10 -1.07 2.09 -0.09
H11 -1.58 0.53 0.69
H12 -2.61 1.73 -1.99
H13 -3.57 1.53 -0.47
H14 -3.72 -0.18 -2.26
H15 -3.66 -0.60 -0.64
H16 -1.57 -0.74 -2.83
H17 -1.46 -1.72 -1.16
H18 0.57 1.86 -1.39
H19 -0.44 1.25 -3.19
H20 0.72 -0.74 -3.46
H21 2.06 -0.11 -2.28
H22 2.17 2.08 -3.83
H23 1.22 1.18 -4.90
H24 2.83 0.55 -4.62
O1 -0.64 4.35 -1.78
C12 -0.90 5.07 -0.86
O2 -0.03 5.51 -0.07
B1 -0.72 5.92 1.14
O3 -2.14 5.51 1.00
C13 -2.16 5.11 -0.20
O4 -3.16 4.69 -0.81
O5 -0.56 7.32 1.41
C14 0.21 7.44 2.42
O6 0.80 8.49 2.59
C15 0.67 6.26 2.96
O7 0.04 5.34 2.32
O8 1.32 6.06 3.94
O9 4.06 1.47 -1.00
C16 3.56 2.26 -0.21
O10 2.99 1.77 0.79
B2 2.21 2.76 1.44
'''

## Work order
Your job: find the line earlier on that holds "H45 0.45", then return that line and all lines after it there.

## Written answer
H45 0.45 4.18 1.59
H46 0.26 4.07 3.37
H47 1.21 2.93 2.55
H48 -0.77 2.20 1.41
C16 -2.33 4.63 0.09
O10 -1.37 5.52 -0.35
H49 -3.31 5.08 -0.06
H50 -2.26 3.72 -0.50
H51 -2.17 4.42 1.15
H52 -1.07 6.15 0.31
C17 0.09 0.25 0.05
O11 -0.63 1.41 -0.24
H53 1.14 0.49 -0.17
H54 -0.05 -0.07 1.08
H55 -0.13 -0.62 -0.57
H56 -0.51 1.62 -1.17
C18 4.44 -0.72 0.05
O12 5.34 0.06 0.83
H57 3.38 -0.45 0.11
H58 4.72 -0.72 -1.00
H59 4.53 -1.78 0.31
H60 6.08 -0.46 1.16
C19 3.89 3.00 0.93
O13 5.02 2.68 0.24
H61 3.00 2.54 0.52
H62 4.04 2.65 1.95
H63 3.76 4.08 0.95
H64 5.11 1.73 0.35

Output
- Energy relative to the best compared isomer or geometry (same formula, charge and spin): 25.5 kcal/mol
- Orbital gap: 9.778 eV
- Energy: -47354.04823 eV
- Maximum force: 0.0470 Eh/bohr
- Net charge: 0

=====

# C19H66B2NO37

A molecular structure, C19H66B2NO37 (ωB97M-V/def2-TZVPD, the Open Molecules 2025 dataset).

Element x y z (Å)
C1 2.61 -1.39 1.97
C2 1.25 -2.12 1.58
C3 0.13 -1.25 0.99
C4 0.55 -0.54 -0.34
N1 -0.48 0.22 -1.13
C5 -1.30 0.98 -0.26
C6 -2.67 1.20 -1.03
C7 -2.97 -0.21 -1.42
C8 -1.57 -0.73 -1.70
C9 0.12 1.03 -2.17
C10 1.25 0.22 -2.90
C11 1.90 1.03 -4.11
H1 3.35 -2.09 2.47
H2 2.12 -0.43 2.63
H3 3.14 -1.12 1.18
H4 0.93 -2.67 2.40
H5 1.62 -2.92 0.84
H6 -0.15 -0.55 1.74
H7 -0.77 -1.92 0.80
H8 1.09 -1.41 -0.86
H9 1.20 0.10 -0.28
H10 -1.07 2.09 -0.09
H11 -1.58 0.53 0.69
H12 -2.61 1.73 -1.99
H13 -3.57 1.53 -0.47
H14 -3.72 -0.18 -2.26
H15 -3.66 -0.60 -0.64
H16 -1.57 -0.74 -2.83
H17 -1.46 -1.72 -1.16
H18 0.57 1.86 -1.39
H19 -0.44 1.25 -3.19
H20 0.72 -0.74 -3.46
H21 2.06 -0.11 -2.28
H22 2.17 2.08 -3.83
H23 1.22 1.18 -4.90
H24 2.83 0.55 -4.62
O1 -0.64 4.35 -1.78
C12 -0.90 5.07 -0.86
O2 -0.03 5.51 -0.07
B1 -0.72 5.92 1.14
O3 -2.14 5.51 1.00
C13 -2.16 5.11 -0.20
O4 -3.16 4.69 -0.81
O5 -0.56 7.32 1.41
C14 0.21 7.44 2.42
O6 0.80 8.49 2.59
C15 0.67 6.26 2.96
O7 0.04 5.34 2.32
O8 1.32 6.06 3.94
O9 4.06 1.47 -1.00
C16 3.56 2.26 -0.21
O10 2.99 1.77 0.79
B2 2.21 2.76 1.44